is associated with numerous sordid affairs, the latest of which is that of the fatal attack on young Philippe in Grande-Synthe. However, almost 20 years after its launch, it has never really been worried. Our reporter tested the ease of the mechanism.
Misplaced records of molecules =
Formula: C17H24AlF5O18P
Source: the Open Molecules 2025 dataset
Level of theory: ωB97M-V/def2-TZVPD

Values from the calculation:
* net charge: -1
* E: -3099.84452 hartree
* highest occupied orbital energy: -4.96 eV
* LUMO: 1.766 eV

The geometry in XYZ format:
```
66
Properties=species:S:1:pos:R:3:forces:R:3:lowdin_charge:R:1
C -2.385 2.469 -0.890 -0.1 0.1 -0.1 -0.226
C -1.607 1.369 -0.126 0.0 0.2 -0.2 -0.395
Al -1.347 1.832 1.794 -0.3 -0.4 -0.1 0.256
P 0.175 3.751 1.806 0.4 0.1 0.6 0.390
O 1.342 3.781 2.730 -0.1 0.0 -0.1 -0.422
O -0.673 5.150 2.138 -0.1 0.0 0.0 -0.277
O 0.630 4.114 0.273 -0.2 -0.3 -0.3 -0.244
H -3.208 2.069 -1.500 0.2 0.0 0.1 0.049
H -2.853 3.211 -0.220 0.1 -0.1 -0.1 0.027
H -1.729 3.029 -1.570 -0.1 -0.1 0.2 0.051
H -0.631 1.221 -0.608 -0.2 -0.1 0.1 0.023
H -2.141 0.410 -0.189 0.1 0.1 0.0 0.028
H -0.693 0.667 2.692 0.2 0.1 0.0 -0.112
H -2.737 2.401 2.415 0.1 0.2 0.0 -0.105
H -1.403 5.193 1.512 -0.2 0.0 -0.1 0.035
H 1.079 4.965 0.269 0.2 0.2 0.0 0.046
C 2.438 -2.584 -2.047 0.1 0.1 -0.1 -0.052
C 2.440 -1.228 -1.364 0.0 -0.1 0.0 -0.297
O 1.073 -0.887 -1.360 -0.1 0.0 0.2 0.144
C 0.338 -2.024 -1.381 0.0 0.0 -0.1 -0.525
O -0.818 -2.110 -1.145 0.2 -0.1 -0.1 0.193
O 1.141 -3.081 -1.719 -0.2 -0.1 0.0 0.036
F 3.133 -0.306 -2.080 -0.1 0.0 -0.1 0.072
H 2.516 -2.452 -3.128 0.0 0.0 0.0 0.127
H 3.201 -3.267 -1.686 0.0 0.0 0.1 0.129
H 2.808 -1.224 -0.337 0.1 0.0 0.0 0.176
C -2.500 6.790 4.031 0.1 0.1 0.0 -0.041
C -2.390 7.894 5.067 -0.1 -0.1 0.1 -0.315
O -3.304 8.862 4.594 -0.2 0.0 0.1 0.121
C -4.234 8.233 3.816 0.0 0.1 0.0 -0.560
O -5.240 8.741 3.441 0.1 -0.1 0.0 0.164
O -3.846 6.972 3.563 -0.1 0.0 -0.1 0.079
F -1.156 8.448 5.130 0.0 0.0 -0.1 0.072
H -1.798 6.960 3.214 0.0 0.0 0.1 0.124
H -2.369 5.783 4.411 -0.1 0.0 0.0 0.144
H -2.684 7.605 6.078 0.1 0.0 0.0 0.168
C 4.221 -0.753 -6.928 0.0 0.0 0.1 -0.052
C 3.883 -2.059 -6.229 0.0 0.0 -0.2 -0.322
O 2.489 -1.966 -6.066 -0.1 -0.1 -0.1 0.124
C 1.990 -1.125 -7.023 0.0 0.1 0.0 -0.538
O 0.846 -1.009 -7.293 0.1 0.0 0.0 0.197
O 3.012 -0.468 -7.626 -0.1 0.1 0.0 0.069
F 4.476 -2.163 -5.015 0.0 0.1 0.1 0.071
H 4.409 0.021 -6.182 0.1 0.0 0.0 0.147
H 5.045 -0.819 -7.632 0.0 0.0 0.0 0.137
H 4.113 -2.962 -6.798 0.1 0.0 0.1 0.171
C 0.241 -6.280 -0.464 0.0 0.0 -0.2 -0.038
C 1.544 -6.879 -0.968 -0.1 0.0 0.1 -0.313
O 2.459 -5.824 -0.776 0.2 0.0 0.2 0.124
C 1.980 -5.002 0.203 -0.2 0.1 -0.2 -0.566
O 2.602 -4.130 0.710 0.0 -0.1 0.0 0.180
O 0.709 -5.337 0.499 0.0 0.1 0.2 0.068
F 1.499 -7.200 -2.283 0.0 0.1 -0.1 0.074
H -0.265 -5.750 -1.272 0.0 0.0 0.0 0.148
H -0.428 -6.990 0.012 0.0 0.0 0.1 0.140
H 1.891 -7.755 -0.416 0.0 0.0 -0.1 0.170
C -1.204 -3.625 3.109 0.0 0.0 0.1 -0.062
C -1.238 -2.531 4.160 0.0 -0.1 0.0 -0.330
O -2.168 -1.630 3.619 -0.4 0.2 0.2 0.108
C -3.012 -2.300 2.794 0.1 -0.1 -0.1 -0.539
O -4.034 -1.892 2.363 0.1 0.0 0.1 0.185
O -2.515 -3.550 2.556 -0.1 0.1 -0.1 0.057
F -0.038 -1.931 4.313 0.0 0.0 -0.1 0.071
H -0.462 -3.376 2.352 0.1 0.0 -0.1 0.136
H -1.031 -4.622 3.506 0.0 0.0 0.0 0.134
So much for the records of molecules =
Reading time: 5 min

For five days, our reporter became one of the 850,000 monthly visitors to the Coco site. No moderation or prior registration. The ban on minors is not respected there. Our reporter therefore became CRICA18, a 15-year-old minor from Seine-et-Marne. In five days, CRICA18 received around fifty photos and webcam videos of men masturbating, incitements to prostitution and seven proposals for physical encounters with adults. Again on Sunday, Pierre, a 59-year-old consultant living in Melun, demanded before meeting us, to see us, to speak to us via the Snapchat application.
However, almost 20 years after its launch, the Coco site has never really been worried. The manager of this online chat is a 44-year-old French engineer from Var, Isaac Steidl, according to the company register. His last company, Zenco, was liquidated last summer. But regarding, the last known turnover reached 680,000 euros. And since then, the site has doubled its traffic. Trying to contact Isaac Steidl and a former associate by telephone, we quickly understood that franceinfo was not welcome.
Regular infiltrations by the gendarmes
In addition to pedophilia, prostitution or rape cases, the site is often involved in ambush cases. The police regularly intervene in this type of case. Eight days ago, the Doubs gendarmerie arrested two teenagers aged 16 and 17, in the parking lot of a supermarket in Besançon. They were about to rob a Coco user. This one, interested in the prostitution offered on this site, was not his first ambush. As Lieutenant-Colonel Damien Mathieu recounts: “The person went to the meeting place, in a parking lot a little away from a residential areahe says. And at that moment, he was attacked by an individual who came out of the woods with some kind of hammer.” It is “villainous violence”with a view to “rob the victim of their phone, their means of payment or even their vehicle”, alerts the officer. For him, it’s a site “very dangerous”.
“It is a vector of communication that should really be avoided and we do not hesitate to, when we can, arrest the perpetrators and bring them to justice.”
Lieutenant-Colonel Damien Mathieuat franceinfo
In fact, the site is well known to the gendarmerie. Specialized agents are authorized to go on the chat under a pseudonym, to track down child pornography and online prostitution. A judicial source also confirms to us that drug and arms trafficking has been reported on this site, whose messages are deleted after a few hours.
The legal void, “an urban legend”
However, the closure of is not on the agenda. If the perpetrators of misdemeanors, or even crimes, who use it can be prosecuted, the site continues to generate money today, particularly with its so-called “Premium” subscriptions. In recent years, to keep out of reach, became, a domain name registered in Guernsey, a British island but, according to our information, these are Belgian servers, in the European Union, who host Coco.
“Legally, closing them is complicatedexplains a cyber police officer from the Ministry of the Interior, they are not hosted in France. They don’t publish content.” “There are ways to take action against this type of site,” replies the lawyer specializing in internet law, Alexandre Archambault. “It’s an urban legend, there is no legal loophole on the internet”the lawyer gets angry.
“We can absolutely intervene, as long as you have an activity that operates from the European Union, which seems to be the case”
Alexandre Archambault, lawyer specializing in internet lawfranceinfo
He cites in particular the “French law on digital trust” and the DSA (the Digital Services Act), adopted last summer by the European Union. In the meantime, he deplores: “If there is no legal procedure, technical intermediaries cannot act to monitor what is happening online. This was again reminded very recently by a judgment of the Court of Cassation on March 27.”
Call for site closure
Caroline Darian is the daughter of Dominique, a man who, for 10 years, drugged and had the young woman’s mother raped by dozens of Coco users. “In the matter which concerns my father and my mothershe relates, which allowed my father to come into contact with all of these sexual derangements and predators – more than 80 individuals – this is the Coco site. She describes the existence on the site of “living rooms” to discuss specific subjects, each more controversial than the other. Among these salons, the one that concerned his mother was called “Without him knowing”. “We find in chats certain comments which concretely explain how to rape a woman without her knowledge, with medication, explains Caroline Darian. This site is the platform that allowed more than 80 individuals to get in touch and benefit from this sordid protocol.”
Caroline Darian does not understand why the site is not better monitored despite the increase in cases. A site which, according to her, “accelerates, in any case optimizes, the connection between predators and predators : What are the modalities that have been put in place since the release of all these cases? ? Noneshe gets angry. Legislators should take action, starting with the Minister of Justice. Today, in the era in which we live, I think that we can no longer leave this area of lawlessness. What are we waiting for ?”
“There is no moderation. The owner(s) of this site are perfectly aware of this. They are playing with a form of Internet freedom because today, it is absolutely not legislated.”
Caroline Darian, collateral victim of Coco and president of the “M’dors pas” associationat franceinfo
How long before Caroline Darian’s call for the closure of the Coco site is acted upon? A closure whose effectiveness remains to be proven as the sites rise so quickly from their ashes. One piece of data could still speed up the procedure: does not respect one of its legal obligations, to transmit to the courts the technical data – the IP addresses – of the suspects. This constitutes a failure which exposes, but also suits, the most dangerous users of Coco.